1、一人我饮酒醉,醉把佳人成双对。 When I'm drunk, I make a couple.

2、一段文字一段伤,一场回忆一场酸。 A paragraph of text, a paragraph of injury, a memory, a sour.

3、上帝创造了爱情,所以世界上有了白痴。 God created love, so there are idiots in the world.

4、不喜欢就拒绝,不要暧昧。 Do not like to refuse, do not ambiguous.

5、不小心,就会遇到你,那是一种折磨。 If you are not careful, you will meet. That is a kind of torture.

6、不想变成你的故事,想变成你的生活。 I don't want to be your story, I want to be your life.

7、不想过早的失去,就不要过早的拥有。 Do not want to lose too early, do not have too early.

8、不是每句,对不起,都能换来没关系。 Not every sentence, sorry, can be exchanged. It doesn't matter.

9、世界上最简单的咒语,三个字对不起。 The simplest incantation in the world, three words sorry.

10、为什么喜欢删动态,大概是讨厌昨天的自己。 Why like to delete dynamic, probably hate yesterday's own.

11、从此他成了我的噩梦,分手渐行渐远。 Since then, he has become my nightmare, breaking up gradually.

12、你应该多吃点,吃饱了才有力气去忏悔。 You should eat more. You have enough to repent.

13、你有你的另一半,我有我的下一站。 You have your partner, I have my next stop.

14、你深拥我之时,我在想你能这样抱多久。 When you hold me deeply, I wonder how long you can hold me like this.

15、你爱他,而他却不爱你,你觉得有用么? Do you think it's useful that you love him and he doesn't love you?

16、你用谎言去验证谎言,得到的一定是谎言。 If you use a lie to test a lie, what you get must be a lie.

17、假若关怀让你感觉被束缚,你又何必说孤独。 If caring makes you feel bound, why do you say lonely.

18、傻过,才知道适时的坚持与放弃。 Silly, just know timely insist and give up.

19、其实我们都明白,只是不愿意去明白。 In fact, we all understand, but we are not willing to understand.

20、卑微到尘埃中,然后开出花来。 Humble to the dust, and then bloom.

21、受伤的时候,偶尔一次让我听听你呼吸。 When I'm injured, let me listen to your breathing once in a while.

22、只能怪你拥抱的梦太过热烈,活该一触就破。 I can only blame you for embracing so ardently that you deserve to break it.

23、呵。从今天开始我的未来就彻底没有你了。 Oh. From today on, my future will be completely without you.

24、喜欢就去表白,大不了连朋友都做不成。 If you like it, you can't even be a friend.

25、够了,你不用再解释你和她的误会了。 Enough, you don't have to explain your misunderstanding with her.

26、失望攒够了,也是时候离开了。 Enough disappointment. It's time to leave.

27、如果生命果真是无常,我愿坦然面对而不慌。 If life is really impermanent, I would like to face it without panic.

28、如若不是为了一个人,谁肯枯守一座城。 If it's not for one person, who will defend a city.

29、对你而言,我的喜欢就这么可笑吗? To you, is my liking so ridiculous?

30、已经路过的风景就不要再打听了。 Don't ask about the scenery that has passed by.

31、带着你对我的好,滚出我的世界。 With your good to me, get out of my world.

32、往往深情留不住,偏偏套路得人心。 Often affectionate can not stay, but the routine is popular.

33、心疼,不是在你离开,而是当你再次出现。 Heartache, not when you leave, but when you appear again.

34、快乐、是掩饰内心的悲伤、对别人微笑吧。 Happiness is to cover up the sadness in your heart and smile at others.

35、怪我于你心浮气躁,赔了自尊也失了心。 Blame me for your impetuousness, losing self-esteem and heart.

36、想回从前的时空,和你相逢在初遇的那街头。 Want to go back to the past time and space, and you meet in the street.

37、懂了,千山万水,互道珍重不如相拥。 Understand, mountains and rivers, mutual treasure is better than embracing.

38、我也有过信仰,可惜后来信仰遗弃了我。 I also had faith, but later faith abandoned me.

39、我以为你是故乡,你却推脱,让我流浪。 I thought you were my hometown, but you shirked and let me wander.

40、我们总是在寻找,却不珍惜当下。 We are always looking for, but we don't cherish the present.

41、我们都很无奈,就如现实反过来就是实现。 We are all helpless, just like the reality, the reverse is the realization.

42、我和他的爱太无奈,总是参杂着伤害。 I and his love is too helpless, always mixed with hurt.

43、我已经清醒了,虽然还是不够透彻。 I'm sober, though not thorough enough.

44、我每天每天都在想你,只是你不知道。 I miss you every day, but you don't know.

45、我的心情,就像刚死过你爹一样沉重。 My heart is as heavy as your father who just died.

46、我记得你爱我,或者我记反了。 I remember you love me, or I remember it backwards.

47、我颠倒了整个世界,只为了摆正你们的倒影。 I reversed the whole world, just to put your reflection right.

48、我颠覆整个世界,只为扶正你的倒影! I subvert the whole world, just to support your reflection!

49、撕心裂肺地挽留,不过是心有不甘的表现。 It's just a sign of unwillingness to hold on.

50、放了他吧!不要再扎伤自己了。 Let him go! Don't stab yourself again.

51、昨天是历史,今天是开始,明天谁都不好使! Yesterday is history, today is the beginning, tomorrow is not easy for anyone!

52、是一辈子太长,还是你的承诺我经受不起? Is life too long, or your promise I can't stand?

53、是你,让我在失去中,懂得什么是珍惜。 It's you that let me know what to cherish when I lose.

54、有些话劝得了别人,却劝不了自己。 Some words can persuade others, but they can't persuade themselves.

55、有多少的辛酸曲折,竟会在梦中难以割舍。 How many bitter twists and turns will be difficult to give up in the dream.

56、有没有那么一瞬间,你心疼过我的执着? Is there such a moment, you love my persistence?

57、来,陪我喝一杯吧,别让我一个人醉。 Come on, have a drink with me. Don't let me get drunk alone.

58、求而不得,舍而不能,得而不惜。 We can't ask, we can't give up, we can't give up.

59、泪水终将突破防线,只是风吹痛了双眼。 Tears will eventually break through the defense line, but the wind hurt my eyes.

60、爱如戏,你友情客串,我却倾情演出! Love is like a play, you are a guest star, but I perform with passion!

61、现在的我,一切只求顺其自然。 Now I just want to let it be.

62、用沉默,掩饰心里还爱你的事实。 Use silence to cover up the fact that I still love you in my heart.

63、相遇恨晚,相爱恨短。 Hate late to meet, hate short to love.

64、看上了就爱,处腻了就甩,只有我最摇摆。 I love it when I like it. I throw it when I'm tired of it. I'm the only one who swings.

65、秋天不只有累累的硕果,更有满地的落叶。 Autumn is not only fruitful, but also full of fallen leaves.

66、穷人不说暗话,我没钱! Poor people don't talk in secret, I have no money!

67、等一个发现,等一个感动让爱再沸腾。 Wait for a discovery, wait for a touch, let love boil again.

68、简简单单的一句再见,我们连陌生人都不是。 A simple goodbye, we are not even strangers.

69、终于你,滚出了我的心。 Finally you, get out of my heart.

70、花心本无错,奈何世人太单一。 Flower heart is not wrong, but the world is too single.

71、若不是你很像她,我想我就不会爱上你。 I don't think I would fall in love with you if you didn't look like her very much.

72、被人误会的时候微微一笑,这是一种大度。 It's a kind of generosity to smile when misunderstood.

73、要学会长大,一个人抵过千军万马。 To learn to grow up, one person is worth thousands of troops.

74、要顺应自然规律,就像当时我放开你。 Follow the laws of nature, just like I let you go.

75、该失望的事,从来没有辜负过我。 The disappointment has never failed me.

76、谁像我殷勤写你,将江南都用掉。 Who writes about you like I do, and uses up Jiangnan.

77、谁兜里有棒棒糖,我就跟谁玩。 I play with whoever has a lollipop in his pocket.

78、违心话说多了,我都替你觉得虚伪。 I think it's hypocritical for you to say too much against your will.

Between two parts of the text: data records >
-- begin --
Calculated powder diffractogram of Fe10O9F11 for CuKα, from a GGA+U-relaxed structure.

Peak list (6 most intense, 15° ≤ 2θ ≤ 90°, in order of rising 2θ)
| 2θ/deg | Rel. int. | (hkl) |
| --- | --- | --- |
| 25.12 | 100 | 0 2 0 |
| 27.31 | 88 | 2 0 0 |
| 34.60 | 47 | 1 1 -5 |
| 34.73 | 48 | 1 1 5 |
| 50.70 | 63 | 1 3 5 |
| 53.31 | 25 | 3 1 5 |

Cell: 6.531 7.090 15.357 Å, 90.00 90.33 90.00°
Space group C2 (No. 5)
Symmetry-distinct sites (fractional):
Fe 0.000 0.000 0.000 [2 per cell]
Fe 0.000 0.461 0.500 [2 per cell]
Fe 0.001 0.499 0.095 [4 per cell]
Fe 0.006 0.999 0.197 [4 per cell]
Fe 0.011 0.505 0.290 [4 per cell]
Fe 0.031 0.010 0.596 [4 per cell]
O 0.000 0.187 0.500 [2 per cell]
O 0.178 0.499 0.400 [4 per cell]
O 0.196 0.499 0.000 [4 per cell]
O 0.198 0.501 0.797 [4 per cell]
O 0.208 0.501 0.200 [4 per cell]
F 0.000 0.811 0.500 [2 per cell]
F 0.002 0.192 0.696 [4 per cell]
F 0.003 0.203 0.108 [4 per cell]
F 0.003 0.797 0.108 [4 per cell]
F 0.003 0.812 0.694 [4 per cell]
F 0.212 0.494 0.599 [4 per cell]


Record 1
This entry pairs a crystal structure of LiCdCuGe with its computed XRD peak list. Radiation: copper Kα. Structure: a structure optimized by DFT (PBE).
Kinematic intensities with the Lorentz-polarization factor, no thermal factor.

The 10 most intense peaks (10° ≤ 2θ ≤ 90°), in order of falling intensity:
- 40.33°, I 100, (2 2 0)
- 73.31°, I 32, (4 2 2)
- 28.21°, I 25, (2 0 0)
- 24.37°, I 21, (1 1 1)
- 58.35°, I 16, (4 0 0)
- 87.16°, I 10, (4 4 0)
- 47.68°, I 10, (3 1 1)
- 66.05°, I 9, (4 2 0)
- 49.94°, I 7, (2 2 2)
- 64.17°, I 4, (3 3 1)

Structure:
```
data_LiCdCuGe
_chemical_formula_sum 'Li4 Cd4 Cu4 Ge4'
_cell_length_a 6.326
_cell_length_b 6.326
_cell_length_c 6.326
_cell_angle_alpha 90.00
_cell_angle_beta 90.00
_cell_angle_gamma 90.00
_space_group_name_H-M_alt 'F -4 3 m'
_space_group_IT_number 216
_space_group_name_Hall 'F -4 2 3'
loop_
_atom_site_label
_atom_site_type_symbol
_atom_site_fract_x
_atom_site_fract_y
_atom_site_fract_z
Li1 Li 0.000 0.000 0.000
Cd1 Cd 0.250 0.250 0.250
Cu1 Cu 0.000 0.000 0.500
Ge1 Ge 0.250 0.250 0.750
```


Record 2
This entry pairs a crystal structure of Ta6Ga5 with its computed XRD peak list. Radiation: copper Kα. Structure: a structure optimized by DFT (PBE).
Kinematic intensities with the Lorentz-polarization factor, no thermal factor.

The 10 most intense peaks (10° ≤ 2θ ≤ 90°), in order of falling intensity:
- 40.37°, I 100, (2 2 0)
- 73.42°, I 21, (6 0 0)
- 34.78°, I 21, (3 0 0)
- 58.42°, I 14, (4 0 2)
- 19.87°, I 12, (1 1 0)
- 82.66°, I 12, (2 2 4)
- 28.24°, I 8, (2 0 1)
- 38.59°, I 8, (3 0 1)
- 62.34°, I 7, (5 0 1)
- 22.99°, I 6, (2 0 0)

Structure:
```
data_Ta6Ga5
_chemical_formula_sum 'Ta12 Ga10'
_cell_length_a 8.9332
_cell_length_b 8.9332
_cell_length_c 5.4773
_cell_angle_alpha 90.00
_cell_angle_beta 90.00
_cell_angle_gamma 120.00
_space_group_name_H-M_alt 'P 63/m m c'
_space_group_IT_number 194
_space_group_name_Hall '-P 6c 2c'
loop_
_atom_site_label
_atom_site_type_symbol
-- stop --

79、陪我一起数星星,智商低点就数月亮吧。 Count the stars with me. Count the moon.

80、青春、再怎么挥霍,也躲不过一句世态炎凉。 Youth, no matter how extravagant, but also to avoid a cold world.

81、青春,带着希望而来,失望而归。 Youth comes with hope and returns with disappointment.

82、面色红润万人倒、莫非姑娘用大宝。 The face is ruddy, ten thousand people pour, is it a girl to use big treasure.